Enforcing planning permissions and investigating complaints
**Quantum chemistry results from another source follow**
-- begin --
# C2H3O2S2

A 2-piece molecular cluster, C2H3O2S2 overall (ωB97M-V/def2-TZVPD, OMol25).

## Properties
* orbital gap: 6.018 eV
* E_HOMO: -2.383 eV
* net charge: -1
* energy relative to the best compared isomer or geometry (same formula, charge and spin): 60.2 kcal per mole

Positions of all 9 atoms, in Å:
C: 0.0229 0.4342 -2.1846
C: -0.0968 -0.2059 -1.0963
O: -0.4790 -0.9278 -0.2661
O: 1.2623 1.0221 0.3780
S: 3.1243 -1.2000 -0.3457
S: 2.5185 0.3799 1.0142
H: 0.6302 1.3588 -2.3918
H: 0.1649 -0.1650 -3.0094
H: 2.1070 -1.9896 0.1263

# C43H47ClN2ReSb2Si

C43H47ClN2ReSb2Si as an isolated structure (ωB97M-V/def2-TZVPD, OMol25).

## Properties
* orbital gap (alpha / beta): 7.237 / 6.040 eV
* multiplicity: 4
* E_HOMO (alpha / beta): -13.301 / -13.271 eV
* net charge: +2

Positions of all 97 atoms, in Å:
Re: 0.7185 -0.1858 0.0693
C: -1.9912 -2.8929 -1.5587
C: -3.1076 -2.3620 -0.6749
C: -2.7926 -2.4156 0.8085
Sb: -1.3402 -1.0810 1.6506
C: -1.3241 -1.8919 3.5860
C: -2.5629 -2.1214 4.1787
C: -2.6268 -2.7114 5.4317
C: -1.4616 -3.0747 6.0876
C: -0.2284 -2.8444 5.4967
C: -0.1573 -2.2505 4.2453
C: -2.4820 0.6846 1.7814
C: -2.9860 1.1600 2.9846
C: -3.7475 2.3211 3.0017
C: -3.9957 3.0101 1.8248
C: -3.4869 2.5403 0.6218
C: -2.7323 1.3777 0.5996
Sb: -0.4511 -1.4989 -2.0281
C: 0.7411 -2.6979 -3.2786
C: 1.0076 -2.3274 -4.5915
C: 1.7775 -3.1527 -5.3966
C: 2.2832 -4.3421 -4.8934
C: 2.0111 -4.7180 -3.5866
C: 1.2390 -3.8984 -2.7784
C: -1.4520 -0.1775 -3.3137
C: -1.4539 1.1912 -3.0620
C: -2.1430 2.0516 -3.9040
C: -2.8309 1.5460 -4.9966
C: -2.8313 0.1811 -5.2513
C: -2.1445 -0.6817 -4.4120
H: -1.5270 -3.7843 -1.1310
H: -2.3680 -3.1740 -2.5440
H: -3.9873 -2.9916 -0.8392
H: -3.4159 -1.3565 -0.9797
H: -2.4908 -3.4208 1.1112
H: -3.6788 -2.1587 1.3941
H: -3.4839 -1.8436 3.6792
H: -3.5880 -2.8874 5.8936
H: -1.5149 -3.5344 7.0644
H: 0.6798 -3.1216 6.0135
H: 0.8072 -2.0480 3.8072
H: -2.7957 0.6346 3.9132
H: -4.1454 2.6875 3.9376
H: -4.5907 3.9120 1.8441
H: -3.6849 3.0739 -0.2978
H: -2.3523 1.0178 -0.3552
H: 0.6095 -1.4065 -5.0007
H: 1.9774 -2.8690 -6.4202
H: 2.8849 -4.9818 -5.5232
H: 2.3946 -5.6511 -3.1983
H: 1.0208 -4.2179 -1.7647
H: -0.9165 1.6035 -2.2115
H: -2.1424 3.1146 -3.7069
H: -3.3690 2.2154 -5.6524
H: -3.3650 -0.2118 -6.1053
H: -2.1488 -1.7442 -4.6276
C: 2.2783 0.6875 -3.3814
C: 1.9604 1.7268 -2.3625
C: 2.0531 3.0795 -2.6341
C: 1.8139 4.0056 -1.6207
C: 1.4910 3.5962 -0.3416
C: 1.4376 2.2257 -0.1103
N: 1.6540 1.3316 -1.1129
N: 1.1146 1.5287 1.0344
Si: 1.2934 2.2488 2.6731
C: 2.9835 3.0469 2.7161
C: -0.0461 3.5199 2.9572
C: 1.1231 0.8229 3.8525
H: 3.3498 0.6961 -3.5881
H: 1.7576 0.8864 -4.3171
H: 2.0270 -0.3140 -3.0367
H: 2.3282 3.4060 -3.6260
H: 1.8834 5.0623 -1.8403
H: 1.2901 4.3011 0.4473
H: 2.9943 4.0097 2.2069
H: 3.7498 2.4150 2.2646
H: 3.2798 3.2301 3.7493
H: 0.0530 4.4065 2.3324
H: 0.0142 3.8607 3.9922
H: -1.0425 3.1076 2.8030
H: 1.7005 -0.0450 3.5275
H: 0.0823 0.5257 3.9906
H: 1.5035 1.1055 4.8349
Cl: 5.3780 -1.0867 4.8945
C: 4.4677 -1.2829 3.4444
-- stop --
Lancashire County Council monitors compliance with planning permissions and investigates complaints in relation to mineral extraction and waste management development. We can also investigate complaints about Lancashire County Council's own development. For complaints about all other types of development such as residential or commercial development, you should contact your local city or borough council.
We have produced a planning enforcement policy which sets out how we will investigate complaints about unauthorised development and other breaches of planning control.
When a member of the public makes a complaint that a mineral extraction or waste management development or Lancashire County Council's own development is in breach of planning control, we will:
Here the piece breaks off for quantum chemistry results:
-- begin --
A structure of composition C12H8Cl2N15O5RuSSe, computed with ωB97M-V with the def2-TZVPD basis set.

Energy above the lowest of the compared OMol25 structures with the same formula, charge and spin in eV: 1.7042
HOMO level (alpha / beta) in eV: -2.917 / -2.973
Multiplicity: 2
HOMO-LUMO gap (alpha / beta) in Eh: 0.20026 / 0.20711
LUMO energy (alpha / beta) in eV: 2.533 / 2.663
Charge: -2
Expectation value of S²: 0.90

The geometry in XYZ format:
```
45
C12H8Cl2N15O5RuSSe ωB97M-V with the def2-TZVPD basis set
Ru -0.17 -0.15 -0.70
Se 3.61 -3.54 2.09
Cl 1.80 4.39 -0.86
Cl 1.31 3.89 1.98
S -0.64 1.60 -3.40
O 0.75 1.93 -3.55
O 0.73 1.67 -0.40
O -0.86 0.34 -2.58
O -1.41 1.49 -4.62
O 2.55 1.03 0.78
N 5.19 -3.46 -0.44
N 0.35 -0.68 1.24
N 1.29 -1.11 -1.19
N 2.20 -2.10 0.69
N 3.37 -2.09 -1.38
N -2.02 0.66 -0.06
N -1.91 -3.89 -1.02
N -1.32 -1.84 -0.92
N -0.90 -3.12 -0.82
N -3.03 -3.17 -1.23
N -4.16 1.15 -0.12
N -3.46 -0.82 -1.28
N -2.24 1.79 0.67
N 2.50 -2.87 3.26
N -3.49 2.06 0.62
C 2.30 -1.74 -0.68
C 1.79 1.85 0.27
C 2.16 3.33 0.50
C -0.12 -0.48 3.61
C 0.77 -1.43 3.95
C 4.31 -2.81 -0.84
C -0.30 -0.15 2.24
C -2.62 -1.92 -1.16
C 1.37 -1.60 1.53
C -1.40 2.88 -2.44
C 1.57 -2.02 2.92
C -3.22 0.31 -0.51
H -0.73 0.03 4.35
H -1.32 3.80 -3.01
H -2.44 2.62 -2.28
H 0.94 -1.75 4.97
H -0.87 2.97 -1.49
H -1.03 0.60 1.98
H -4.43 -1.04 -1.39
H 3.22 3.40 0.71
```

=====

A structure of composition C12H8Cl3DyN4OS2, computed with ωB97M-V with the def2-TZVPD basis set.

Energy above the lowest of the compared OMol25 structures with the same formula, charge and spin in eV: 3.7841
HOMO level (alpha / beta) in eV: -15.363 / -15.370
Multiplicity: 6
HOMO-LUMO gap (alpha / beta) in Eh: 0.31065 / 0.30657
LUMO energy (alpha / beta) in eV: -6.910 / -7.028
Charge: +2
Expectation value of S²: 9.36

The geometry in XYZ format:
```
31
C12H8Cl3DyN4OS2 ωB97M-V with the def2-TZVPD basis set
Dy 9.15 4.49 6.63
Cl 9.27 2.30 7.99
Cl 8.25 7.48 11.06
Cl 8.81 10.26 6.37
S 5.29 6.69 3.95
S 12.73 7.23 4.19
O 8.95 7.53 5.14
N 10.59 5.76 4.79
N 7.36 5.48 5.12
N 5.30 4.56 5.70
N 12.52 4.48 4.40
C 6.83 7.51 3.97
C 7.78 6.70 4.57
C 6.07 5.40 4.87
C 10.20 7.06 4.57
C 8.69 8.75 8.67
C 8.84 8.80 7.30
C 8.89 7.57 6.64
C 9.01 6.38 8.71
C 8.64 7.52 9.42
C 11.93 5.68 4.40
C 9.09 6.46 7.32
C 11.17 7.94 4.17
H 11.11 9.02 4.03
H 11.87 3.67 4.41
H 4.32 4.42 5.49
H 8.58 9.69 9.18
H 13.42 4.32 3.99
H 5.84 3.72 5.87
H 7.12 8.48 3.47
H 9.09 5.43 9.21
```

=====

An isolated molecule of C12H8F2N4, computed with ωB97M-V with the def2-TZVPD basis set.

HOMO level in eV: -7.773
Multiplicity: 1
HOMO-LUMO gap in Eh: 0.29384
LUMO energy in eV: 0.223
SMILES string: Nc1nc2ncccn2c1-c1ccc(F)c(F)c1

The geometry in XYZ format:
```
26
C12H8F2N4 ωB97M-V with the def2-TZVPD basis set
F 2.79 4.36 -0.18
F 4.22 2.81 -2.11
N -2.16 0.44 1.73
N -1.72 -1.68 2.74
N -2.03 2.39 0.35
N -0.12 -0.39 1.45
C 0.85 -1.38 1.53
C -1.42 1.25 0.89
C -0.16 0.72 0.68
C -0.85 -2.67 2.79
C 1.37 2.56 0.16
C 0.95 1.26 -0.11
C 1.68 0.49 -0.99
C -1.37 -0.56 1.99
-- stop --
- Acknowledge receipt of the complaint within 5 working days identifying the officer who will be dealing with the complaint;
- Investigate the complaint; and,
These quantum chemistry results were left in the entry by mistake =
~~~
ORCA calculation (the ωB97M-V functional and the def2-TZVPD basis) on a cluster of 17 separate species, C69H178N6O23 in total.

The spin multiplicity is 1. For the energy above the lowest of the compared OMol25 structures with the same formula, charge and spin, the calculation gives 104.8 kJ/mol. As for the strongest force on any atom: 2.650 eV/Å. The net charge is 0.

Positions of all 276 atoms, in Å:
C: 0.777 6.541 -6.907
O: 0.626 5.324 -7.584
C: 0.028 4.248 -6.877
C: -0.183 3.041 -7.725
N: -0.291 1.869 -6.878
C: -1.467 0.997 -7.050
C: -1.284 -0.215 -6.166
O: -0.078 -0.880 -6.490
C: 0.411 -1.644 -5.406
H: 1.445 7.167 -7.495
H: 1.228 6.395 -5.934
H: -0.188 7.077 -6.824
H: -0.901 4.591 -6.376
H: 0.687 3.941 -6.037
H: 0.594 2.988 -8.473
H: -1.101 3.168 -8.299
H: 0.560 1.333 -6.988
H: -1.657 0.644 -8.096
H: -2.372 1.442 -6.693
H: -2.197 -0.866 -6.243
H: -1.181 0.178 -5.163
H: -0.165 -2.602 -5.257
H: 0.430 -1.042 -4.466
H: 1.432 -1.980 -5.591
C: 1.936 -4.233 0.000
O: 3.170 -3.641 -0.334
C: 2.951 -2.215 -0.460
C: 4.204 -1.552 -0.937
N: 5.225 -1.570 0.155
C: 6.087 -2.722 0.159
C: 7.255 -2.529 1.094
O: 7.725 -1.144 0.992
C: 8.746 -0.881 1.925
H: 1.178 -4.047 -0.765
H: 1.515 -3.877 0.934
H: 2.102 -5.301 0.030
H: 2.720 -1.809 0.549
H: 2.118 -1.980 -1.212
H: 4.042 -0.484 -1.114
H: 4.531 -2.029 -1.883
H: 5.813 -0.755 0.098
H: 6.539 -3.031 -0.874
H: 5.516 -3.632 0.378
H: 8.117 -3.164 0.934
H: 6.938 -2.703 2.176
H: 8.400 -0.931 2.980
H: 9.124 0.067 1.655
H: 9.521 -1.639 1.769
C: 12.345 0.797 -0.770
O: 11.559 1.932 -0.364
C: 10.333 2.086 -1.072
C: 9.556 3.279 -0.582
N: 8.120 3.101 -0.817
C: 7.255 2.447 0.202
C: 5.847 2.294 -0.253
O: 5.369 3.564 -0.563
C: 4.112 3.539 -1.220
H: 12.023 -0.130 -0.225
H: 13.396 0.983 -0.562
H: 12.243 0.618 -1.840
H: 9.816 1.144 -0.851
H: 10.457 2.148 -2.147
H: 9.841 4.132 -1.235
H: 9.836 3.539 0.438
H: 7.697 3.987 -1.058
H: 7.246 2.979 1.206
H: 7.637 1.423 0.332
H: 5.374 1.931 0.711
H: 5.762 1.569 -1.035
H: 3.759 4.554 -1.394
H: 3.393 3.042 -0.607
H: 4.174 2.985 -2.223
C: -4.403 8.470 -5.953
O: -4.177 7.076 -5.841
C: -3.709 6.563 -7.081
C: -4.104 5.101 -7.177
N: -3.599 4.232 -6.107
C: -4.377 2.989 -6.089
C: -4.012 2.255 -4.810
O: -4.057 0.783 -4.997
C: -3.646 0.161 -3.774
H: -3.503 8.971 -6.255
H: -4.743 8.874 -4.962
H: -5.133 8.723 -6.731
H: -2.624 6.664 -7.121
H: -4.048 7.184 -7.892
H: -3.745 4.730 -8.116
H: -5.205 4.996 -7.165
H: -3.755 4.691 -5.224
H: -4.151 2.384 -6.965
H: -5.438 3.262 -6.037
H: -4.653 2.595 -3.958
H: -3.013 2.480 -4.443
H: -2.701 0.532 -3.367
H: -3.643 -0.920 -3.976
H: -4.401 0.443 -3.004
C: 4.138 4.313 2.787
O: 2.871 4.201 2.164
C: 1.953 5.314 2.381
C: 0.520 4.808 2.402
N: 0.219 3.912 1.276
C: 0.254 4.512 -0.072
C: 0.122 3.319 -0.951
O: -0.090 3.753 -2.251
C: -0.063 2.602 -3.103
H: 4.766 5.082 2.290
H: 4.622 3.322 2.760
H: 4.075 4.697 3.815
H: 2.079 6.155 1.689
H: 2.091 5.679 3.397
H: -0.127 5.704 2.286
H: 0.191 4.327 3.309
H: 0.865 3.116 1.125
H: 1.196 5.051 -0.308
H: -0.576 5.211 -0.232
~~~
Back to the entry =
- Respond to the complainant within 28 days of receipt providing the result of the initial investigation. Further investigation including enforcement action may be necessary beyond this timescale.
Details of complainants will always remain confidential and will never be revealed to the individual(s) under investigation. However, details may be shared on occasion with other regulators such as the Environment Agency or city or borough councils.
If we receive a complaint about Lancashire County Council's own development, we will contact the Chief Officer of the Council department responsible for carrying out the development. If a breach of planning control has occurred, we will request the relevant officer to remedy the breach. Lancashire County Council cannot take enforcement action against itself using the formal enforcement notices listed in the Planning Enforcement Policy.
If you are dissatisfied with the way your complaint has been investigated, you can raise your concerns with the Head of Development Management and Planning Policy or the Head of Planning and Transport. If you still remain dissatisfied with the outcome you can follow Lancashire County Council's complaints procedure.
We have no responsibility for investigating complaints or taking enforcement action in Blackpool or Blackburn with Darwen Borough Council's administrative areas.
If you would like to view Lancashire County Council's current or previous enforcement actions, you can view our online planning enforcement register.
If your complaint is about an unauthorised waste operation (such as tipping or operation of a waste site without an environmental permit) you can also register a complaint with the Environment Agency via their incident hotline. The Environment Agency's hotline can be accessed via their webpage Report an environmental incident (GOV.uk).